August 26, 2022
My sisters and brothers in the Lord,
Welcome to Week 34 of Disciples Together on the Way! We’ve made it to week 34! Alleluia! Do not grow weary – we are nearing the summit! Anything worthwhile demands hard work and commitment. So, I encourage you to continue with our weekly challenges to grow closer to Jesus and in turn grow as a disciple of Christ.
If you’ve missed a week or two or more of our year long pilgrimage, please do not be discouraged – begin anew and God will complete the good work He has begun.
Saint Monica, whose feast day we celebrate tomorrow, is a great model of perseverance. She spent 17 years weeping, sacrificing and praying for her son’s conversion. In her steadfastness, Saint Monica lived to see her son, Saint Augustine of Hippo, be baptized by Saint Ambrose as an adult convert to Christianity. And, ultimately, he become a bishop and a Doctor of the Church.
As a disciple of Christ, we are called to learn from and to stay close to our Lord. We can do this in many different ways, however one thing is necessary – to make a commitment to follow Jesus down the path which He sets before us. MARCH ON! Continue to join me in these weekly challenges to grow closer to our Lord as a disciple – all for the glory of God and the salvation of souls.
**The piece is interrupted by calculated crystals**
This entry pairs a crystal structure of Li2Mn3SbO8 with its simulated powder diffraction line list. Radiation: Cu Kα X-rays. Structure: a crystal structure in Alexandria, relaxed with PBE+U.
Kinematic intensities with the Lorentz-polarization factor, no thermal factor.

Crystal structure
```
Li2Mn3SbO8
1.0
6.0569 0.0000 0.0000
2.9556 5.3736 0.0000
2.6985 1.9864 9.9222
Li Mn Sb O
4 6 2 16
Direct
0.0413 0.0830 0.3163
0.4455 0.4180 0.1856
0.5545 0.5820 0.8144
0.9587 0.9170 0.6837
0.0000 0.0000 0.0000
0.0000 0.5000 0.5000
0.2522 0.2460 0.7520
0.5000 0.0000 0.0000
0.5000 0.5000 0.5000
0.7478 0.7540 0.2480
0.0000 0.5000 0.0000
0.5000 0.0000 0.5000
0.1034 0.1414 0.1102
0.1167 0.6097 0.1185
0.1674 0.5649 0.6159
0.1739 0.1075 0.6307
0.3398 0.3548 0.3902
0.3444 0.9257 0.8868
0.3532 0.3564 0.8839
0.3744 0.8565 0.3988
0.6256 0.1435 0.6012
0.6468 0.6436 0.1161
0.6556 0.0743 0.1132
0.6602 0.6452 0.6098
0.8261 0.8925 0.3693
0.8326 0.4351 0.3841
0.8833 0.3903 0.8815
0.8966 0.8586 0.8898
```

The 10 most intense peaks (2θ from 15° to 90°), low angle first:
17.86 deg, d 4.967, I 100, (0 0 2)
17.96 deg, d 4.939, I 50, (1 0 1)
33.58 deg, d 2.669, I 11, (-1 1 2)
34.01 deg, d 2.636, I 20, (0 2 0)
34.39 deg, d 2.608, I 17, (1 2 3)
34.83 deg, d 2.576, I 9, (2 2 2)
36.17 deg, d 2.484, I 13, (2 2 0)
41.07 deg, d 2.198, I 25, (2 0 -2)
41.86 deg, d 2.158, I 24, (0 2 -2)
42.50 deg, d 2.127, I 23, (2 2 4)

----------

# 1
# LaB2Pd2C
Calculated powder diffraction line list, CuKα. Input: a crystal structure in the Materials Project, relaxed with PBE.
Intensities are scaled so that the largest is 1000.

Largest 12 diffraction maxima, by angle, 5° ≤ 2θ ≤ 70°:
2θ/deg, intensity, (hkl)
17.08, 70, 0 0 2
24.03, 288, 1 0 1
34.40, 178, 1 0 3
34.55, 272, 0 0 4
36.42, 1000, 1 1 2
45.78, 285, 2 0 0
49.55, 55, 1 0 5
52.35, 78, 2 1 1
58.49, 76, 2 1 3
58.59, 233, 2 0 4
63.14, 206, 1 1 6
66.74, 89, 2 2 0

Cell lengths 3.964, 3.964, 10.384 Å; angles 90.00, 90.00, 90.00 degrees
Space group I4/mmm (No. 139)
Inequivalent atoms, fractional coordinates:
La 0.000 0.000 0.000 (multiplicity 2)
B 0.000 0.000 0.358 (multiplicity 4)
Pd 0.000 0.500 0.250 (multiplicity 4)
C 0.000 0.000 0.500 (multiplicity 2)

---

# 2
# Tb2Ni7
Calculated powder diffraction line list, CuKα. Input: a crystal structure in the Materials Project, relaxed with PBE.
Intensities are scaled so that the largest is 1000.

Largest 12 diffraction maxima, by angle, 5° ≤ 2θ ≤ 70°:
2θ/deg, intensity, (hkl)
32.54, 430, 1 0 10
34.54, 322, 0 1 11
36.46, 489, 1 1 0
42.43, 351, 0 2 1
43.11, 1000, 1 1 9
45.35, 152, 0 0 18
47.13, 113, 2 0 8
63.15, 129, 2 1 10
64.38, 105, 1 2 11
65.61, 87, 3 0 0
66.44, 105, 1 1 21
68.16, 104, 2 0 20

Cell lengths 4.9291, 4.9291, 35.9935 Å; angles 90.00, 90.00, 120.00 degrees
Space group R-3m (No. 166, hexagonal axes)
Inequivalent atoms, fractional coordinates:
Tb 0.0000 0.0000 0.0509 (multiplicity 6)
Tb 0.0000 0.0000 0.1477 (multiplicity 6)
Ni 0.0000 0.0000 0.2780 (multiplicity 6)
This week’s challenge will be a little different from previous weeks as we take a pause from beginning a new challenge to refocus on a challenge that we’ve already done. Think about a challenge that was presented over the past 8 weeks. They focused on the virtues and then on intercessory prayer.
Think about a challenge that was presented over the past eight weeks. They focused on the virtues and then on intercessory prayer. Here they are again with hyperlinks to a webpage with more details:
Week 26 | The Virtues | Every day this week, recite the Litany of Humility
Week 27 | The Virtues | Invite a family to your home for a meal or take a meal to a homebound person
Week 28 | The Virtues | Moderation: At meals, eat less than you desire and don’t tell anyone
Week 29 | The Virtues | Overcoming the Deadly Sin of Anger
Week 32 | Intercession | Pray for Your Beloved Dead
Week 33 | Intercession | Pray for someone who is lapsed from the Faith
Did these challenges come easily? Were there some that seemed more difficult to stick with? Spend some time in meditative prayer examining how the challenges from the areas of virtue and intercession have gone over the past several weeks. Ask the Lord to show you where you need to spend some more time and effort cultivating the habit of a good disciple. Then, repeat a particular challenge from these past eight weeks.
The more we do something, the better we get at it! When we fall short, we must get up, dust ourselves off and begin again. As the 20th century Spanish priest, Saint Josemaria Escriva said: “To begin is for everyone. To persevere is for saints.” So, let’s persevere together!
I’ll be back with a new challenge next week. Until then, may God bless you abundantly throughout this week, in the name of the Father and the Son and the Holy Spirit. Amen.
Yours in Christ,
+ Earl Boyea
Bishop of Lansing